17 January 2024 Blog

“You’ll need to grow a thicker skin!”


I half wondered what the senior colleague was saying at the time, my highly visual brain dragging me to a literal vision of thickening skin tissue. Eventually, I understood it to be that I needed to toughen up, not cry to the point of inconsolability, and to have some control.

[What comes next are records of crystals, not part of the piece]
┌──
[1]
For TlAs2RuO8, a DFT-relaxed cell (GGA-PBE, Alexandria) gives the computed powder diffraction line list in this record (copper Kα).

The 12 most intense peaks (2θ = 10–80°), most intense first:
- 2θ 28.44, intensity 100, hkl 1 1 -2
- 2θ 22.58, intensity 59, hkl 1 1 1
- 2θ 35.99, intensity 55, hkl 3 1 0
- 2θ 29.76, intensity 53, hkl 1 1 2
- 2θ 21.14, intensity 50, hkl 2 0 0
- 2θ 32.65, intensity 49, hkl 0 2 0
- 2θ 19.33, intensity 47, hkl 1 1 0
- 2θ 55.76, intensity 29, hkl 1 3 -2
- 2θ 22.95, intensity 27, hkl 2 0 -1
- 2θ 46.10, intensity 21, hkl 2 2 2
- 2θ 31.61, intensity 20, hkl 2 0 2
- 2θ 40.30, intensity 18, hkl 2 2 -1

Structural model:
```
data_TlAs2RuO8
_chemical_formula_sum 'Tl2 As4 Ru2 O16'
_space_group_name_H-M_alt 'C 1 2/m 1'
_space_group_IT_number 12
_cell_length_a 8.4343
_cell_length_b 5.4827
_cell_length_c 8.2725
_cell_angle_alpha 90.00
_cell_angle_beta 94.68
_cell_angle_gamma 90.00
loop_
_space_group_symop_operation_xyz
'x,y,z'
'-x,-y,-z'
'-x,y,-z'
'x,-y,z'
'x+1/2,y+1/2,z'
'-x+1/2,-y+1/2,-z'
'-x+1/2,y+1/2,-z'
'x+1/2,-y+1/2,z'
loop_
_atom_site_label
_atom_site_type_symbol
_atom_site_fract_x
_atom_site_fract_y
_atom_site_fract_z
_atom_site_occupancy
Tl1 Tl 0.0000 0.0000 0.0000 1
As1 As 0.1307 0.5000 0.3042 1
Ru1 Ru 0.0000 0.0000 0.5000 1
O1 O 0.0050 0.2474 0.3274 1
O2 O 0.1914 0.5000 0.1179 1
O3 O 0.2325 0.0000 0.5241 1
```

---

[2]
For BaSbPb2S4, a DFT-relaxed cell (GGA-PBE, Alexandria) gives the computed powder diffraction line list in this record (copper Kα).

The 12 most intense peaks (2θ = 10–80°), most intense first:
- 2θ 29.39, intensity 100, hkl 0 0 2
- 2θ 42.18, intensity 74, hkl 0 4 2
- 2θ 25.05, intensity 64, hkl 2 2 0
- 2θ 25.81, intensity 60, hkl 2 2 -2
- 2θ 29.57, intensity 49, hkl 0 4 0
- 2θ 49.14, intensity 23, hkl 6 2 -2
- 2θ 50.42, intensity 21, hkl 6 2 -4
- 2θ 51.42, intensity 21, hkl 4 4 0
- 2θ 41.07, intensity 20, hkl 4 0 0
- 2θ 53.06, intensity 18, hkl 4 4 -4
- 2θ 43.01, intensity 17, hkl 4 0 -4
- 2θ 69.50, intensity 17, hkl 0 8 2

Structural model:
```
data_BaSbPb2S4
_chemical_formula_sum 'Ba4 Sb4 Pb8 S16'
_space_group_name_H-M_alt 'C 1 2/c 1'
_space_group_IT_number 15
_cell_length_a 12.1632
_cell_length_b 12.0821
_cell_length_c 8.4127
_cell_angle_alpha 90.00
_cell_angle_beta 133.71
_cell_angle_gamma 90.00
loop_
_space_group_symop_operation_xyz
'x,y,z'
'-x,-y,-z'
'-x,y,-z+1/2'
'x,-y,z+1/2'
'x+1/2,y+1/2,z'
'-x+1/2,-y+1/2,-z'
'-x+1/2,y+1/2,-z+1/2'
'x+1/2,-y+1/2,z+1/2'
loop_
_atom_site_label
_atom_site_type_symbol
_atom_site_fract_x
_atom_site_fract_y
_atom_site_fract_z
_atom_site_occupancy
Ba1 Ba 0.0000 0.0000 0.0000 1
Sb1 Sb 0.2500 0.2500 0.0000 1
Pb1 Pb 0.0000 0.5000 0.0000 1
Pb2 Pb 0.2500 0.2500 0.5000 1
S1 S 0.0008 0.2548 0.9820 1
S2 S 0.2408 0.4908 0.9908 1
```

---

[3]
For LiPrDyRh, a DFT-relaxed cell (GGA-PBE, Alexandria) gives the computed powder diffraction line list in this record (copper Kα).

The 12 most intense peaks (2θ = 10–80°), most intense first:
- 2θ 35.63, intensity 100, hkl 2 2 0
└──

It was 1995, I was 19. I had a 20-week-old baby at home, an extremely low mood, and I had started a new job 12 weeks earlier due to a lack of understanding of my maternity rights and needing to find a more local job and secure income, believing my SMP (Statutory Maternity Pay) was coming to an end when it wasn’t. My employer had also misinformed me.

I had made an admin mistake, a mistake that someone else in the workplace took the blame for, and yes, it was blame rather than any intention to ensure the error didn’t happen again and to improve systems. And it was my fault.

I was inconsolable, upset because someone else had taken the blame for my mistake, upset because I loathe getting into trouble, and now I was being told I had to report to the consultant concerned, confess my culpability, and apologise, particularly because someone else had taken the blame. I stood with the senior colleague, cried in front of the consultant (I was already in tears as I was being marched to their office), became non-verbal, and created all-round embarrassment. I don’t even remember his response other than his reference to the impact of the situation and blame being hurled across the room between the two senior colleagues.

Needless to say, I was destroyed by it all, and the following week – illustrative of an active grapevine – I was asked what had happened by another senior colleague, which resulted in them saying to me, “You’ll need to grow a thicker skin.”

Situations like this are the reasons undiagnosed neurodivergents need to know they are neurodivergent. Through a neurotypical lens, I needed to toughen up, take responsibility for an error on my part, and use effective communication to resolve the tension and conflict. Redress the harmony for all concerned.

Today, 2024, I now know I am Autistic, and a lot of what happened that day (and for which I suffered weeks of upset after, leading to my eventual resignation) could be explained by knowing I was Autistic – for everyone concerned. The most important reason I needed to know is because the event left me feeling I was faulty, to blame, that I had something wrong with me, and I was inadequate – not just because of the error, but because of how I responded – because despite how hard I tried, then and for a long time after, I could not seem to grow that damn thicker skin!

You see, I have a gift, a beautiful gift, but one that is seen as a curse in our society. One that people often want to correct. I am a highly sensitive person, to hurt – physical and emotional – yours and my own. I am also an empath – you cry, I taste your tears – an HSP empath, if you will. I carry a heavy weight for these gifts. In spite of this fact, I wouldn’t change them for the world, and what I have come to know, and really needed to know in 1995, is that…my skin will never become thicker, and what’s more, I am not faulty because of the fact that I am not ‘thicker skinned’.

I would later learn that I am not just an HSP empath but also Autistic and that many Autistic people are HSP Empaths (contrary to the pervasive myth that Autistics do not have empathy) and the situation when viewed through an Autistic lens, would have been viewed very differently.

  • Use of idioms like “You’ll have to grow a thicker skin” isn’t immediately clear for Autistic people, as we often take things literally. Literal but not stupid – I do know what most mean – but I have to process them as they are unclear forms of communication.
  • I worked in a large place with lots of people, lots of strangers, lots of authority, and lots of constant noise. My brain works more effectively with quiet. With quiet, I can concentrate and am far less likely to make mistakes and errors in my work.
  • The error I made was a failure to put one blank form in a folder. I have executive functioning challenges with my Autism that cause me a poor working memory, but my long-term memory is exceptional, another curse of why I remember this event so vividly. Lists of things to remember are difficult for me until they move into my long-term memory through sufficient repetition. I was still new to the job; this had not yet happened.
  • I was preparing folders while dealing with interruptions and liaising with the general public. Autistics, including myself, often struggle with cognitive flexibility – the ability to switch between tasks and resume where we left off immediately and effectively. Dealing with interruptions with cognitive flexibility issues is difficult.
  • I struggle to communicate when conflict arises, and this can cause me to become emotionally dysregulated (meltdown and close down) and to become non-verbal. I was totally dysregulated, and this was the reason I could not speak.
  • When I cannot cope with situations like this, I retract – the resignation – this retracting is a trauma response for my own protection.

A week or so before I left, one of the other clerks said to me, “You are the best one we have had so far.” The employer lost out too.

Situations like this, and they exist in their plenty for many Autistic people, become little and big ‘T’ traumas. They add to the already heavy weight that we carry living as neurodivergent in a neurotypical society, built by and to accommodate, the predominant neurotype. We are left with the cognitive and emotional scars.

Today, after my Autism diagnosis, and with the greater awareness that I am an HSP empath, which I had recognised well before my Autism self-identification in 2020 and diagnosis a year later, I accept that I am not flawed (not perfect either), but that I am within the realm of ‘good enough’ as a human being and as a worker. Good enough is more than okay.

Failure to recognise Autism and to be supported with adjustments and neuro-affirming workplaces, and the added failure of society to see highly sensitive empathic people as a gift rather than something to correct, means that we can often end up feeling broken and wrong rather than nurtured and supported. We either work less effectively, or organisations have all the cost and disruption of losing good staff when we can’t cope and leave.

So,what needs to change?

(Misplaced calculated crystals)
Entry 1:
Calculated powder diffraction line list
Compound: Ta5S8
Radiation: a wavelength of 1.5418 Å
Structure: a PBE-relaxed structure
Lines closer than 0.1° are merged.

Principal peaks in the range 10 to 90 degrees two-theta, by intensity:
2θ (°), d [Å], intensity
13.83, 6.405, 1000
31.42, 2.848, 579
42.25, 2.139, 519
42.72, 2.117, 444
34.30, 2.614, 338
30.88, 2.896, 289
55.26, 1.662, 262
27.86, 3.203, 255

Crystal structure
Cell lengths 13.1764, 13.1764, 5.7929 Å; angles 101.45, 101.45, 14.26 degrees
Element x y z (fractional)
Ta (0.0000, 0.0000, 0.0000)
Ta (0.1272, 0.1272, 0.1238)
Ta (0.3740, 0.3740, 0.3674)
Ta (0.6260, 0.6260, 0.6326)
Ta (0.8728, 0.8728, 0.8762)
S (0.0629, 0.0629, 0.7374)
S (0.1878, 0.1878, 0.8507)
S (0.3131, 0.3131, 0.6482)
S (0.4374, 0.4374, 0.7587)
S (0.5626, 0.5626, 0.2413)
S (0.6869, 0.6869, 0.3518)
S (0.8122, 0.8122, 0.1493)
S (0.9371, 0.9371, 0.2626)

=====

Entry 2:
Calculated powder diffraction line list
Compound: TaS2
Radiation: a wavelength of 1.5418 Å
Structure: a PBE-relaxed structure
Lines closer than 0.1° are merged.

Principal peaks in the range 10 to 90 degrees two-theta, by intensity:
2θ (°), d [Å], intensity
12.98, 6.821, 1000
35.63, 2.520, 275
38.07, 2.364, 270
31.19, 2.867, 266
32.12, 2.786, 264
44.01, 2.057, 197
54.93, 1.672, 195
47.42, 1.917, 145

Crystal structure
Cell lengths 7.0893, 7.0893, 7.0893 Å; angles 27.28, 27.28, 27.28 degrees
Element x y z (fractional)
Ta (0.0000, 0.0000, 0.0000)
S (0.5903, 0.5903, 0.5903)
S (0.7430, 0.7430, 0.7430)

=====

Entry 3:
Calculated powder diffraction line list
Compound: TaS2
Radiation: a wavelength of 1.5418 Å
Structure: a PBE-relaxed structure
Lines closer than 0.1° are merged.

Principal peaks in the range 10 to 90 degrees two-theta, by intensity:
2θ (°), d [Å], intensity
12.73, 6.953, 1000
33.22, 2.697, 553
40.29, 2.238, 437
30.56, 2.926, 218
50.22, 1.817, 212
56.03, 1.641, 138
54.31, 1.689, 121
69.75, 1.348, 86

Crystal structure
Cell lengths 3.3783, 3.3783, 6.9529 Å; angles 90.00, 90.00, 120.00 degrees
Element x y z (fractional)
Ta (0.0000, 0.0000, 0.0000)
S (0.3333, 0.6667, 0.7793)
S (0.6667, 0.3333, 0.2207)

=====

Entry 4:
Calculated powder diffraction line list
Compound: TaS2
Radiation: a wavelength of 1.5418 Å
Structure: a PBE-relaxed structure
Lines closer than 0.1° are merged.

Principal peaks in the range 10 to 90 degrees two-theta, by intensity:
2θ (°), d [Å], intensity
12.87, 6.880, 1000
33.59, 2.668, 520
40.74, 2.215, 447
30.89, 2.894, 224
50.79, 1.798, 199
56.69, 1.624, 138
54.95, 1.671, 123
70.61, 1.334, 88

Crystal structure
Cell lengths 3.3421, 3.3421, 13.7602 Å; angles 90.00, 90.00, 120.00 degrees
Element x y z (fractional)
Ta (0.0000, 0.0000, 0.2500)
Ta (0.0000, 0.0000, 0.7500)
S (0.3333, 0.6667, 0.1364)
S (0.3333, 0.6667, 0.3636)
S (0.6667, 0.3333, 0.6364)
S (0.6667, 0.3333, 0.8636)

=====

Repeat the fourth record exactly.
Calculated powder diffraction line list
Compound: TaS2
Radiation: a wavelength of 1.5418 Å

  • We need to find who the neurodivergents are, Autistic or otherwise. There are so many of us living not knowing we are neurodivergent, left feeling we are at fault, rather than learning we are ‘different’ and living in an unaccommodating society.
  • Workplaces need to support from the top down, declaring their support for neurodiversity and neurodivergent employees through publicised policy and their zero tolerance of ‘ableism.’
  • Policy needs to be put into practice through awareness raising of neurodiversity and neurodivergence, through training which includes recognition and understanding of the part that ‘ableism’ plays in neurodivergence, and ‘lived experience’ sharing. Training is not enough without the ‘lived experiences’ of neurodivergent people, because they are the experts.
  • Flexible working as standard.
  • Flexible and supportive management practices.
  • Reasonable adjustments to support neurodivergent people.
  • Co-operation and empathy across all neurotypes – neurotypicals (approx. 80%), and neurodivergents (approx. 20%). Currently the neurodivergents are forced to do the majority of the adapting and bending. Everyone needs to work together so the whole of neurodiversity benefits.
  • Personal wellbeing support plans for ALL employees, regardless of neurotype.
  • Have recognised and trained Neurodiversity Champions.
  • Encourage allyship from everyone towards their neurodivergent colleagues – those who will support their neurodivergent voices and lived experiences of neurodivergence, challenge ableism, and create positive change.
  • Person-centred approach – always ask, never assume – everyone is different, every neurodivergent is different through their unique ‘spiky profile’ – what benefits one neurodivergent person, may not benefit another.

Mind Matters is currently developing training that will support the development of Neurodiversity Champions. Watch this space for further details…

17 January 2024 Blog